Is it George Washington’s holiday or do we celebrate all 45 presidents?
On Ed
Virginia HeffernanFebruary 19, 2024
On calendars it’s President’s Day, or no apostrophe: President’s Day. To the federal government: It’s Washington’s birthday. But California is really getting festive. California lists the holiday as the third Monday in February.”
Banks, schools and non-essential government offices are closed. Most of us have a day off. But does anyone really celebrate this occasion that goes by more than a dozen different names depending on what state you’re in?
Primerrily, an anti-woke site for patriotic families, encourages kids to use their Monday off to bake presidential treats like Zachary Taylor’s beignets and Grover Cleveland’s Snickerdoodles. The site also suggests that children sing the presidential anthem.
Hail to the Chief, as we pledge cooperation / In proud fulfillment of a great, noble call!
That is a text that few can live up to. In an age when many of us vow not to cooperate with the president but to thwart him at every opportunity, Hail to the Chief no longer makes sense. Or even seems to belong to it
the playlist at all.
Celebrating all the presidents in one day is impractical, regardless of your political leanings. In fact, the transformation of Washington’s birthday into Presidents Day seems to have eroded the holiday’s meaning altogether, making it more synonymous with mattress sales than with the
(Materials data, as found in the file)
********
The following is a simulated PXRD pattern of Y3PuPt8. It was derived from a PBE-relaxed structure, using Cu Kα (weighted mean of Kα1 and Kα2).
Intensities are scaled so that the largest is 1000.

Crystal structure
Cell lengths 5.4582, 5.4582, 8.8971 Å; angles 90.00, 90.00, 120.00 degrees
Space group P3m1 (No. 156)
One atom of each set of equivalent atoms:
Y 0.0000 0.0000 0.0000
Y 0.0000 0.0000 0.3711
Y 0.3333 0.6667 0.8655
Pu 0.3333 0.6667 0.4946
Pt 0.0047 0.5023 0.1820
Pt 0.3287 0.1643 0.6838
Pt 0.6667 0.3333 0.4334
Pt 0.6667 0.3333 0.9324

The 10 most intense peaks (2θ = 10–90°), by angle:
| hkl | d [Å] | 2θ (°) | I (rel.) |
| --- | --- | --- | --- |
| 1 0 0 | 4.727 | 18.8 | 242 |
| 0 1 3 | 2.512 | 35.7 | 543 |
| 1 1 2 | 2.326 | 38.7 | 963 |
| 2 0 1 | 2.284 | 39.4 | 1000 |
| 0 0 4 | 2.224 | 40.6 | 261 |
| 0 2 2 | 2.087 | 43.4 | 351 |
| 1 2 3 | 1.530 | 60.5 | 217 |
| 0 3 2 | 1.485 | 62.5 | 240 |
| 0 2 5 | 1.422 | 65.7 | 319 |
| 2 2 0 | 1.365 | 68.8 | 297 |

* * * * *

# Hf4GaGe
Computed X-ray diffraction stick pattern, Cu Kα, 1.54184 Å. Input: DFT lattice parameters and positions (GGA-PBE).
Neutral-atom scattering factors, no anomalous dispersion.

Structure:
Unit cell a=6.6760 b=6.6760 c=5.2873 alpha=90.00 beta=90.00 gamma=90.00
Space group P4/mcc (No. 124)
Inequivalent atoms, fractional coordinates:
Hf: 0.1539 0.3457 0.0000 x8
Ga: 0.0000 0.0000 0.2500 x2
Ge: 0.5000 0.5000 0.2500 x2

Largest 10 diffraction maxima, most intense first, 2θ from 15° to 90°:
hkl	2θ (°)	intensity
2 1 1	34.5	100
3 1 0	42.8	27
2 1 3	61.1	20
1 1 2	39.1	17
3 3 2	69.5	15
2 0 2	43.7	14
0 0 2	33.9	14
5 2 1	79.4	13
4 0 2	66.2	12
4 1 1	59.7	11


# Ho4Ga2Ge
Computed X-ray diffraction stick pattern, Cu Kα, 1.54184 Å. Input: DFT lattice parameters and positions (GGA-PBE).
Neutral-atom scattering factors, no anomalous dispersion.

Structure:
Unit cell a=7.8568 b=7.8702 c=7.8887 alpha=109.54 beta=109.29 gamma=109.38
Space group P-1 (No. 2)
Inequivalent atoms, fractional coordinates:
Ho: 0.1236 0.4391 0.1837 x2
Ho: 0.2553 0.9391 0.8155 x2
Ho: 0.3159 0.0608 0.3757 x2
Ho: 0.3158 0.4388 0.7557 x2
Ga: 0.0000 0.0000 0.0000 x1
Ga: 0.0000 0.0000 0.5000 x1
Ga: 0.0000 0.5000 0.5000 x1
Ga: 0.5000 0.5000 0.5000 x1
Ge: 0.3749 0.7496 0.1246 x2

Largest 10 diffraction maxima, most intense first, 2θ from 15° to 90°:
hkl	2θ (°)	intensity
2 -1 1	31.0	100
2 -2 1	31.1	80
0 2 0	27.7	74
2 0 -2	27.8	57
0 3 -1	37.0	53
2 2 -2	39.7	40
0 2 1	36.9	37
1 -4 1	46.9	29
1 2 1	46.7	29
1 -4 3	51.1	27


# Ho2GaGe2
Computed X-ray diffraction stick pattern, Cu Kα, 1.54184 Å. Input: DFT lattice parameters and positions (GGA-PBE).
Neutral-atom scattering factors, no anomalous dispersion.

Structure:
Unit cell a=4.0432 b=6.2513 c=8.5087 alpha=90.00 beta=90.00 gamma=90.00
Space group Immm (No. 71)
Inequivalent atoms, fractional coordinates:
Ho: 0.0000 0.0000 0.2190 x4
Ga: 0.0000 0.5000 0.0000 x2
Ge: 0.0000 0.2918 0.5000 x4

Largest 10 diffraction maxima, most intense first, 2θ from 15° to 90°:
hkl	2θ (°)	intensity
********
(The page goes on)
46 45
// there have been 46 presidencies, but 45 presidents see Grover Cleveland jpenner //
who happen to have served, for better or worse, as the country’s president for the past 235 years.
The reason for the holiday is that George Washington was born on February 22, 1732, almost 300 years ago. Washington is of course the father of our country, a patriarch squared. Also, of course, a slave trader and usurper of indigenous lands. At the time of his death he personally held 123 people in slavery.
He was a general and statesman. After leading the Continental Army to victory in the Revolutionary War, Washington oversaw the drafting of the Constitution, established the federal government, and served as the first President of the United States from 1789 to 1797.
He’s a guy worth considering. He carried out the obligations of the Declaration of Independence, which rejected monarchy and stated that all men are created equal. Then the constitution he signed dropped the principle of equality and ennobled property rights, treating some people as property.
One way to spend the holiday might be to discuss Washington’s divisive legacy. Or maybe just text someone about it? And at least beignets.
Like Shakespeare, who was not revered as the English GOAT until some 150 years after his death, Washington was not immediately dubbed the full American GOAT. In 1869, his face was engraved on the dollar bill. In 1879 his birthday became a national holiday. The Washington Monument was completed in 1884.
All that followed the Civil War. Celebrating Washington therefore commemorated not only the founding of the nation, but also its re-founding. We have revisited the national myth-making that was intended to bring the Union back together after it was torn apart.
After all, Washington was Southern, a son of Virginia, where the headquarters of the Confederacy was located. Canonizing him immediately after the Civil War, with a monument designed by Robert Mills of South Carolina, can be seen as an attempt to reassure the fractured nation that the United States did not belong solely to abolitionists and industrialists, who so recently had won. war. Southern farmers also made the nation.
But in the 1870s, another dead folk hero, very different and much more controversial, rose onto the charts just as Washington was getting its dollars.
In 1873 or 1874, Julius Francis, a druggist in Buffalo, NY, began celebrating Abraham Lincoln’s birthday on February 12. He petitioned Congress to make it a federal holiday, but today only California, Connecticut, Illinois, Missouri and New York celebrate it
as a self-catering holiday. (In California, it usually comes down to closed courtrooms.) Four other states include Lincoln, with Washington included
third event on Mondays in February, with the occasion being called Washington Lincoln Day (Colorado, Ohio), Washingtons and Lincolns Birthday (Minnesota), and Washington and Lincolns Day (Utah).
Celebrated in February, Black History Month also has its roots in the 19th century celebration of Lincoln’s birthday on the 12th, and abolitionist Frederick Douglass’ birthday on the 14th.
In one year, 1939, Washington’s birthday was claimed by American Nazis, who held a veritable Americanism event in New York City on February 20 with an image of the first president flanked by swastikas and the Stars and Stripes.
Several idiosyncratic states will go their own way in February. Alabama omits Lincoln and gives the third Monday to Washington and fellow Southerner Thomas Jefferson, even though Jefferson was born in April. Nine states don’t have it on their official calendars at all, including Florida, North Carolina, and Kentucky (where Lincoln was born).
However, most people know the day as President’s Day, with or without the apostrophe, which seems to wander aimlessly. Somehow you can place huzzah for Washington and/or Lincoln, or any president, on the placemat.
But even taking into account Apostrophe Confusion Syndrome, on many holidays dogs actually mostly talked about the big guy.
And it’s not Millard Filmore, Franklin Pierce or John Tyler. It’s not who you vote for in November.
It’s Washington.
Still, t
The man himself has told Americans to guard against the deception of so-called patriotism, so go easy on the powdered wigs.
And then there’s Washington’s memorable description of a bad bed: together, a Little StrawMatted [and] one Thread Bear blanket with double the weight of pests such as lice and fleas, etc.
A new mattress might be the best way to celebrate.
Virginia Heffernan is a regular contributor to Wired and writes a newsletter, Magic and Loss, at

Fernando Dowling is an author and political journalist who writes for 24 News Globe. He has a deep understanding of the political landscape and a passion for analyzing the latest political trends and news.